The next few decades will be an incredibly exciting time to work in the search for axions. Just like in the 2000s as physicists awaited the switch on of the LHC to find the Higgs, we are now waiting for these numerous axion experiments to switch on and tell us whether the axion exists. Nothing is a sure bet in theoretical physics, but now for the first time there will be vast amounts of data coming in to help axion researchers like me. Finding the axion would solve some of the deepest mysteries in the Universe. I can't wait to see what happens!
Dr David Marsh
24 February 2022
Axions shedding light on dark matter
Review conducted by King’s physicists delves into the theory of axions, and their context within the wider fields of particle physics and cosmology.

'''
The following is a computed powder diffractogram of MnCu8Ni2. It was derived from a crystal structure in Alexandria, relaxed with GGA-PBE, using λ = 1.5418 Å (Cu Kα).
Peak positions follow from Bragg's law for the DFT cell and can differ from measured ones.

Crystal structure
Lattice parameters (Å, degrees): 10.928 6.480 4.283 90.00 103.78 90.00
Space group C2/m (No. 12)
Symmetry-distinct sites (fractional):
1 Mn 0.000 0.000 0.000
2 Cu 0.068 0.314 0.783
3 Cu 0.146 0.500 0.327
4 Cu 0.230 0.000 0.101
5 Ni 0.118 0.000 0.536

The 12 most intense peaks (2θ from 10° to 90°), in order of rising 2θ:
2θ (°)  d_spacing  intensity  (hkl)
27.53  3.240  25  0 2 0
32.37  2.765  23  2 2 0
36.72  2.447  10  2 2 -1
41.39  2.182  23  2 2 1
42.72  2.116  26  1 3 0
44.63  2.030  100  4 0 1
45.31  2.002  47  5 1 -1
45.53  1.992  29  4 2 -1
51.66  1.769  20  3 3 -1
52.26  1.750  10  0 2 2
57.10  1.613  15  3 3 1
88.12  1.109  11  1 5 -2

~~~~~

Structure and theoretical powder diffractogram of NbC (a crystal structure in the Materials Project, relaxed with GGA-PBE; Cu Kα).
Lines closer than 0.1° are merged.

Structure:
```
NbC
1.0
3.1542 0.0000 0.0000
-1.5771 2.7316 0.0000
0.0000 0.0000 5.5820
Nb C
2 2
direct
0.0000 0.0000 0.0000
0.0000 0.0000 0.5000
0.3333 0.6667 0.2500
0.6667 0.3333 0.7500
```

Peak list (10 most intense, 10 to 80 degrees two-theta, sorted by position)
| two_theta | Rel. int. |
| --- | --- |
| 32.07 | 31 |
| 32.79 | 100 |
| 36.63 | 1 |
| 46.52 | 91 |
| 58.53 | 24 |
| 67.07 | 5 |
| 68.31 | 21 |
| 68.73 | 11 |
| 76.68 | 17 |
| 77.87 | 19 |


Structure and theoretical powder diffractogram of NbC (a crystal structure in the Materials Project, relaxed with GGA-PBE; Cu Kα).
Lines closer than 0.1° are merged.

Structure:
```
NbC
1.0
0.0000 2.4305 2.4305
2.4305 0.0000 2.4305
2.4305 2.4305 0.0000
Nb C
1 1
direct
0.0000 0.0000 0.0000
0.7500 0.7500 0.7500
```

Peak list (6 most intense, 10 to 80 degrees two-theta, sorted by position)
| two_theta | Rel. int. |
| --- | --- |
| 31.89 | 100 |
| 36.99 | 39 |
| 53.30 | 40 |
| 63.47 | 39 |
| 66.65 | 9 |
| 78.75 | 6 |


Structure and theoretical powder diffractogram of Nb3Ni3C (a crystal structure in the Materials Project, relaxed with GGA-PBE; Cu Kα).
Lines closer than 0.1° are merged.

Structure:
```
Nb3Ni3C
1.0
0.0000 5.6995 5.6995
5.6995 0.0000 5.6995
5.6995 5.6995 0.0000
Nb Ni C
12 12 4
direct
0.0706 0.0706 0.6794
0.0706 0.6794 0.0706
0.0706 0.6794 0.6794
0.3206 0.3206 0.9294
0.3206 0.9294 0.3206
0.3206 0.9294 0.9294
0.6794 0.0706 0.0706
0.6794 0.0706 0.6794
0.6794 0.6794 0.0706
0.9294 0.3206 0.3206
0.9294 0.3206 0.9294
0.9294 0.9294 0.3206
0.0000 0.5000 0.5000
0.2948 0.2948 0.2948
0.2948 0.2948 0.6156
0.2948 0.6156 0.2948
0.3844 0.7052 0.7052
0.5000 0.0000 0.5000
0.5000 0.5000 0.0000
0.5000 0.5000 0.5000
0.6156 0.2948 0.2948
0.7052 0.3844 0.7052
0.7052 0.7052 0.3844
0.7052 0.7052 0.7052
0.0000 0.0000 0.0000
0.0000 0.0000 0.5000
0.0000 0.5000 0.0000
0.5000 0.0000 0.0000
```
'''
Research developments in the fields of particle physics and cosmology has led to a growing interest in the axion particle – a hypothetical particle which explains why neutrons behave in a certain way in the presence of electromagnetic fields. If detected, the axion particle would play a key role in explaining the origin of dark matter in the Universe.
_Unrelated to this piece: crystal structures_
********
No. 1
For Pm4Pr5Sm4, DFT lattice parameters and positions (PBE) gives the calculated X-ray diffraction stick pattern in this record (Cu Ka).
Peak positions follow from Bragg's law for the DFT cell and can differ from measured ones.

Main lines, in order of rising 2θ (2θ from 10° to 80°):
2θ 29.82, intensity 1000; 2θ 34.47, intensity 340; 2θ 34.75, intensity 167; 2θ 49.55, intensity 122; 2θ 49.75, intensity 241; 2θ 58.91, intensity 290; 2θ 59.27, intensity 143; 2θ 61.93, intensity 125; 2θ 72.69, intensity 39; 2θ 73.34, intensity 19

Structural model:
Unit cell a=9.7295 b=9.7295 c=9.7295 alpha=94.04 beta=94.04 gamma=149.22
Sites, in units of the cell vectors:
Pm  0.1544  0.2319  0.3863
Pm  0.2319  0.8456  0.0775
Pm  0.7681  0.1544  0.9225
Pm  0.8456  0.7681  0.6137
Pr  0.0000  0.0000  0.0000
Pr  0.3060  0.4614  0.7675
Pr  0.4614  0.6940  0.1554
Pr  0.5386  0.3060  0.8446
Pr  0.6940  0.5386  0.2325
Sm  0.0762  0.6145  0.6907
Sm  0.3855  0.0762  0.4617
Sm  0.6145  0.9238  0.5383
Sm  0.9238  0.3855  0.3093

No. 2
For Pm3Pr4Sm8, DFT lattice parameters and positions (PBE) gives the calculated X-ray diffraction stick pattern in this record (Cu Ka).
Peak positions follow from Bragg's law for the DFT cell and can differ from measured ones.

Main lines, in order of rising 2θ (2θ from 10° to 80°):
2θ 27.40, intensity 350; 2θ 29.89, intensity 1000; 2θ 30.23, intensity 470; 2θ 31.32, intensity 278; 2θ 38.13, intensity 116; 2θ 40.99, intensity 461; 2θ 41.25, intensity 217; 2θ 52.84, intensity 100; 2θ 53.48, intensity 176; 2θ 61.13, intensity 122; 2θ 62.09, intensity 117; 2θ 65.27, intensity 190

Structural model:
Unit cell a=9.4517 b=9.4517 c=6.9302 alpha=111.49 beta=111.49 gamma=87.07
Sites, in units of the cell vectors:
Pm  0.0000  0.0000  0.0000
Pm  0.0000  0.5000  0.5000
Pm  0.5000  0.0000  0.5000
Pr  0.0000  0.5000  0.0000
Pr  0.5000  0.0000  0.0000
Pr  0.5000  0.5000  0.0000
Pr  0.5000  0.5000  0.5000
Sm  0.1428  0.8572  0.5000
Sm  0.2299  0.2299  0.9600
Sm  0.2343  0.2343  0.4898
Sm  0.2426  0.7574  0.0000
Sm  0.7574  0.2426  0.0000
Sm  0.7657  0.7657  0.5102
Sm  0.7701  0.7701  0.0400
Sm  0.8572  0.1428  0.5000

No. 3
For Pm2Pr4Sm, DFT lattice parameters and positions (PBE) gives the calculated X-ray diffraction stick pattern in this record (Cu Ka).
Peak positions follow from Bragg's law for the DFT cell and can differ from measured ones.

Main lines, in order of rising 2θ (2θ from 10° to 80°):
2θ 29.71, intensity 1000; 2θ 34.44, intensity 507; 2θ 49.44, intensity 183; 2θ 49.57, intensity 181; 2θ 58.77, intensity 326; 2θ 58.90, intensity 108; 2θ 61.64, intensity 94; 2θ 61.86, intensity 31; 2θ 72.61, intensity 58

Structural model:
Unit cell a=21.1046 b=21.1046 c=21.1046 alpha=10.02 beta=10.02 gamma=10.02
Sites, in units of the cell vectors:
Pm  0.0717  0.0717  0.0717
Pm  0.9283  0.9283  0.9283
Pr  0.2140  0.2140  0.2140
Pr  0.3575  0.3575  0.3575
Pr  0.6425  0.6425  0.6425
Pr  0.7860  0.7860  0.7860
Sm  0.5000  0.5000  0.5000

No. 4
********
_The piece goes on_
Published in Science Advances, the review conducted by Professor John Ellis (Clerk Maxwell Professor of Theoretical Physics) and Dr David Marsh (Lecturer and Ernest Rutherford Fellow) from King’s Department of Physics, and Durham University’s Dr Francesca Chadha-Day, focuses on the theory of axions, how axions are produced in the early Universe, and how astrophysics and particle physics work together to tell us how to search for axions in the laboratory.
The axion behaves like a field covering the Universe, and this field can also explain where dark matter comes from. Dark matter is known to make up around 85% of our Milky Way galaxy, but experts are not yet sure what it is made of. The axion particle is a good explanation, because it interacts very weakly with light (axions are ‘dark’), and there are processes in the early Universe that can cause the axion field to oscillate back and forth and become excited. Research hypothesises that the energy stored in these oscillations is axion dark matter, which if detected could provide the solution to one of the greatest mysteries of the Universe.
Furthering the understanding of axions also contributes towards developing the technology that could detect them. Interest in detecting axions has underpinned dozens of ongoing experiments around the world, which seek to find the axion in the next ten to twenty years. The Science Advances review from the King’s team complements a companion article by Professor Yannis Semertzidis and Dr SungWoo Youn, which explains how the technology being developed works.
On developments in the field, David commented;